Assignment =
Now echo all of the notes underneath without altering anything.

Material =
The following is a quantum chemistry calculation of a molecular structure, C9H11LaO6 in a non-equilibrium geometry, from OMol25.

XYZ file:
```
27
C9H11LaO6 (ωB97M-V/def2-TZVPD)
O -2.3966 -3.5857 5.1618
C -2.5736 -4.2854 4.2208
La -1.2474 -1.2037 0.5133
C -1.2332 -1.2659 -2.1805
O -0.2629 -0.9579 -2.9264
C -1.3793 -2.7333 -1.6621
O -1.3892 -3.8056 -2.1966
C -2.3114 -0.5259 -1.5760
O -3.3086 0.1063 -2.0775
C 0.7010 -2.3988 -0.6195
O 1.7309 -2.8260 -1.0792
H -2.0129 -2.6767 0.7137
C 0.3352 2.8088 -1.0552
C 0.7760 1.3403 -0.9999
O 0.2616 0.6336 0.2081
C 0.6768 1.1948 1.4466
C 2.1918 1.4455 1.5319
H -0.7628 2.7778 -1.2219
H 0.7883 3.2263 -1.9422
H 0.5838 3.4407 -0.1923
H 0.5337 0.7483 -1.8319
H 1.9021 1.3038 -0.9072
H 0.1923 2.1382 1.5917
H 0.3680 0.5330 2.2642
H 2.5983 2.2701 0.9076
H 2.4660 1.7661 2.5728
H 2.7722 0.5314 1.3361
```

Summary:
* highest occupied orbital energy (alpha / beta): -17.80 / -17.53 eV
* gap between HOMO and LUMO (alpha / beta): 6.279 / 5.966 eV
* net charge: +2
* ΔE to the lowest compared entry with this formula, charge and spin: 8.733 eV
* LUMO level (alpha / beta): -11.518 / -11.561 eV
* max |F|: 11.41 eV Å⁻¹

The following is a quantum chemistry calculation of a gas-phase ion, C9H11N2O2 (charge +1) in a non-equilibrium geometry, from OMol25.

XYZ file:
```
24
C9H11N2O2 (ωB97M-V/def2-TZVPD)
C 2.3089 -1.0755 0.7934
C 2.7241 0.1510 0.3745
C -3.8763 -1.5031 -0.6099
C -0.2792 0.2897 0.0455
C -2.6652 0.4147 0.6472
C 1.1306 -1.8276 0.2391
C 2.0684 0.9128 -0.8432
C -0.1672 -1.1189 0.3303
C 0.7386 1.3709 -0.4585
N -3.1522 -0.7646 0.0231
N 0.2928 2.5330 -0.7787
O -4.3482 -2.4135 -1.1295
O -1.4755 0.9396 0.1833
H 2.9111 -1.4849 1.6288
H 3.5780 0.6512 0.9454
H -3.4201 1.3488 0.5945
H -2.7492 0.2167 1.7917
H 1.3048 -2.0540 -0.8770
H 1.1156 -2.7575 0.6457
H 2.7429 1.7073 -1.3582
H 1.9850 0.0094 -1.4723
H -1.1928 -1.5269 0.5764
H 0.9236 3.2294 -1.0943
H -0.4984 2.7523 -0.1973
```

Summary:
* highest occupied orbital energy (alpha / beta): -10.81 / -13.42 eV
* gap between HOMO and LUMO (alpha / beta): 7.994 / 6.638 eV
* spin multiplicity: 3
* net charge: +1
* ΔE to the lowest compared entry with this formula, charge and spin: 0.000 eV
* LUMO level (alpha / beta): -2.818 / -6.784 eV
* max |F|: 6.05 eV Å⁻¹

The following is a quantum chemistry calculation of a molecular structure, C9H11N3 in a non-equilibrium geometry, from OMol25.

XYZ file:
```
23
C9H11N3 (ωB97M-V/def2-TZVPD)
C 0.0791 -1.5064 3.5616
C 0.4820 -1.1199 1.0036
C 0.2378 0.9659 -0.3492
C -0.0994 2.2034 -0.0538
C -0.3418 2.9836 -1.2514
C -0.4613 2.3851 -2.4491
C -0.3112 0.9833 -2.6591
C -0.1140 0.2255 -1.5822
C 0.2838 -1.1250 -1.5115
H -0.9373 -0.9618 3.5714
H 1.0037 -0.9454 3.7411
H -0.2579 -2.5058 4.4471
H -1.1454 -2.3494 2.0665
H -0.1441 2.5178 0.9809
H -0.6164 4.0270 -0.9049
H -0.6346 3.2930 -3.2480
H -0.4149 0.3862 -3.6623
H -0.2139 -1.9674 -2.1037
H 1.3745 -1.1153 -2.1094
H 0.9939 -2.7027 -0.4104
N 0.3607 -2.0211 2.0845
N 0.3104 0.2110 1.0182
N 0.5663 -1.8617 -0.1799
```

Summary:
* highest occupied orbital energy: -7.82 eV
* gap between HOMO and LUMO: 7.583 eV
* ΔE to the lowest compared entry with this formula, charge and spin: 8.072 eV
* LUMO level: -0.239 eV
* max |F|: 7.69 eV Å⁻¹

The following is a quantum chemistry calculation of 2 unconnected molecules or ions with the total composition C9H11N3O in a non-equilibrium geometry, from OMol25.

XYZ file:
```
24
C9H11N3O (ωB97M-V/def2-TZVPD)
C -0.8342 -3.4215 0.1000
C -0.9160 -2.7188 1.2305
C -0.6949 -2.7130 -1.0865
C -0.7933 -1.3568 1.3113
C -0.5880 -1.2914 -1.0399
C -0.7231 -0.5540 0.1438
C 1.1787 2.6400 1.2922
C -0.9045 0.9054 0.3430
C 1.8321 1.6872 0.4521
N -1.4199 1.6176 -0.5906
N 1.5291 1.7721 -0.8715
N 2.0496 1.1381 -1.8183
O 1.6743 2.9122 2.3723
H -1.0455 -4.5036 0.0404
H -1.1109 -3.2151 2.2165
H -0.7629 -3.2775 -2.0276
H -1.1915 -0.9185 2.3089
H -0.3016 -0.7605 -1.9861
H 0.3121 3.2481 0.9141
H -0.8746 1.3072 1.3225
H 2.7940 1.2448 0.8649
H -1.5357 2.5013 -0.2294
H 0.9392 2.4818 -1.2358

Here it is =
The following is a quantum chemistry calculation of a molecular structure, C9H11LaO6 in a non-equilibrium geometry, from OMol25.

XYZ file:
```
27
C9H11LaO6 (ωB97M-V/def2-TZVPD)
O -2.3966 -3.5857 5.1618
C -2.5736 -4.2854 4.2208
La -1.2474 -1.2037 0.5133
C -1.2332 -1.2659 -2.1805
O -0.2629 -0.9579 -2.9264
C -1.3793 -2.7333 -1.6621
O -1.3892 -3.8056 -2.1966
C -2.3114 -0.5259 -1.5760
O -3.3086 0.1063 -2.0775
C 0.7010 -2.3988 -0.6195
O 1.7309 -2.8260 -1.0792
H -2.0129 -2.6767 0.7137
C 0.3352 2.8088 -1.0552
C 0.7760 1.3403 -0.9999
O 0.2616 0.6336 0.2081
C 0.6768 1.1948 1.4466
C 2.1918 1.4455 1.5319
H -0.7628 2.7778 -1.2219
H 0.7883 3.2263 -1.9422
H 0.5838 3.4407 -0.1923
H 0.5337 0.7483 -1.8319
H 1.9021 1.3038 -0.9072
H 0.1923 2.1382 1.5917
H 0.3680 0.5330 2.2642
H 2.5983 2.2701 0.9076
H 2.4660 1.7661 2.5728
H 2.7722 0.5314 1.3361
```

Summary:
* highest occupied orbital energy (alpha / beta): -17.80 / -17.53 eV
* gap between HOMO and LUMO (alpha / beta): 6.279 / 5.966 eV
* net charge: +2
* ΔE to the lowest compared entry with this formula, charge and spin: 8.733 eV
* LUMO level (alpha / beta): -11.518 / -11.561 eV
* max |F|: 11.41 eV Å⁻¹

The following is a quantum chemistry calculation of a gas-phase ion, C9H11N2O2 (charge +1) in a non-equilibrium geometry, from OMol25.

XYZ file:
```
24
C9H11N2O2 (ωB97M-V/def2-TZVPD)
C 2.3089 -1.0755 0.7934
C 2.7241 0.1510 0.3745
C -3.8763 -1.5031 -0.6099
C -0.2792 0.2897 0.0455
C -2.6652 0.4147 0.6472
C 1.1306 -1.8276 0.2391
C 2.0684 0.9128 -0.8432
C -0.1672 -1.1189 0.3303
C 0.7386 1.3709 -0.4585
N -3.1522 -0.7646 0.0231
N 0.2928 2.5330 -0.7787
O -4.3482 -2.4135 -1.1295
O -1.4755 0.9396 0.1833
H 2.9111 -1.4849 1.6288
H 3.5780 0.6512 0.9454
H -3.4201 1.3488 0.5945
H -2.7492 0.2167 1.7917
H 1.3048 -2.0540 -0.8770
H 1.1156 -2.7575 0.6457
H 2.7429 1.7073 -1.3582
H 1.9850 0.0094 -1.4723
H -1.1928 -1.5269 0.5764
H 0.9236 3.2294 -1.0943
H -0.4984 2.7523 -0.1973
```

Summary:
* highest occupied orbital energy (alpha / beta): -10.81 / -13.42 eV
* gap between HOMO and LUMO (alpha / beta): 7.994 / 6.638 eV
* spin multiplicity: 3
* net charge: +1
* ΔE to the lowest compared entry with this formula, charge and spin: 0.000 eV
* LUMO level (alpha / beta): -2.818 / -6.784 eV
* max |F|: 6.05 eV Å⁻¹

The following is a quantum chemistry calculation of a molecular structure, C9H11N3 in a non-equilibrium geometry, from OMol25.

XYZ file:
```
23
C9H11N3 (ωB97M-V/def2-TZVPD)
C 0.0791 -1.5064 3.5616
C 0.4820 -1.1199 1.0036
C 0.2378 0.9659 -0.3492
C -0.0994 2.2034 -0.0538
C -0.3418 2.9836 -1.2514
C -0.4613 2.3851 -2.4491
C -0.3112 0.9833 -2.6591
C -0.1140 0.2255 -1.5822
C 0.2838 -1.1250 -1.5115
H -0.9373 -0.9618 3.5714
H 1.0037 -0.9454 3.7411
H -0.2579 -2.5058 4.4471
H -1.1454 -2.3494 2.0665
H -0.1441 2.5178 0.9809
H -0.6164 4.0270 -0.9049
H -0.6346 3.2930 -3.2480
H -0.4149 0.3862 -3.6623
H -0.2139 -1.9674 -2.1037
H 1.3745 -1.1153 -2.1094
H 0.9939 -2.7027 -0.4104
N 0.3607 -2.0211 2.0845
N 0.3104 0.2110 1.0182
N 0.5663 -1.8617 -0.1799
```

Summary:
* highest occupied orbital energy: -7.82 eV
* gap between HOMO and LUMO: 7.583 eV
* ΔE to the lowest compared entry with this formula, charge and spin: 8.072 eV
* LUMO level: -0.239 eV
* max |F|: 7.69 eV Å⁻¹

The following is a quantum chemistry calculation of 2 unconnected molecules or ions with the total composition C9H11N3O in a non-equilibrium geometry, from OMol25.

XYZ file:
```
24
C9H11N3O (ωB97M-V/def2-TZVPD)
C -0.8342 -3.4215 0.1000
C -0.9160 -2.7188 1.2305
C -0.6949 -2.7130 -1.0865
C -0.7933 -1.3568 1.3113
C -0.5880 -1.2914 -1.0399
C -0.7231 -0.5540 0.1438
C 1.1787 2.6400 1.2922
C -0.9045 0.9054 0.3430
C 1.8321 1.6872 0.4521
N -1.4199 1.6176 -0.5906
N 1.5291 1.7721 -0.8715
N 2.0496 1.1381 -1.8183
O 1.6743 2.9122 2.3723
H -1.0455 -4.5036 0.0404
H -1.1109 -3.2151 2.2165
H -0.7629 -3.2775 -2.0276
H -1.1915 -0.9185 2.3089
H -0.3016 -0.7605 -1.9861
H 0.3121 3.2481 0.9141
H -0.8746 1.3072 1.3225
H 2.7940 1.2448 0.8649
H -1.5357 2.5013 -0.2294
H 0.9392 2.4818 -1.2358